Exercise.
Say how many lines of the rows further below hold the word "from", as a bare number, please.
Given.
[1]
Entry from the Alexandria database: a relaxed ScCuAg crystal (PBE).

Output
polymorph energy (0 for the lowest one): 0.010 eV/atom

The structure in extended XYZ format:
```
3
Lattice="-1.712 1.712 4.406 1.712 -1.712 4.406 1.712 1.712 -4.406" Properties=species:S:1:pos:R:3 pbc="T T T"
Sc 0.000 0.000 0.000
Cu 0.000 0.000 5.807
Ag 0.000 0.000 2.838
```

=====

[2]
Entry from the Alexandria database: a relaxed Sc2CuAg crystal (PBE).

Output
E: -4.97 eV per atom

The structure in extended XYZ format:
Worked solution.
2